Input.
┌──
For Pa4MnGe, a cell relaxed with PBE gives the computed X-ray powder pattern in this record (Cu Kα, 1.54184 Å).

Most intense lines, 10° ≤ 2θ ≤ 90°, by intensity:
2θ = 34.27°, intensity 100, (1 2 1); 2θ = 32.88°, intensity 67, (1 1 2); 2θ = 29.92°, intensity 30, (2 0 0); 2θ = 41.34°, intensity 26, (0 1 3); 2θ = 35.58°, intensity 23, (2 1 1); 2θ = 39.75°, intensity 21, (2 0 2); 2θ = 56.90°, intensity 18, (1 1 4); 2θ = 67.31°, intensity 17, (2 3 3); 2θ = 55.95°, intensity 16, (3 2 1); 2θ = 25.57°, intensity 15, (0 0 2)

abc: 5.9734 6.4069 6.9680
angles: 90.00 90.00 90.00
Fractional coordinates of all 12 atoms:
Pa (0.1974, 0.1609, 0.3087)
Pa (0.1974, 0.8391, 0.6913)
Pa (0.2504, 0.3602, 0.8404)
Pa (0.2504, 0.6398, 0.1596)
Pa (0.7496, 0.3602, 0.1596)
Pa (0.7496, 0.6398, 0.8404)
Pa (0.8026, 0.1609, 0.6913)
Pa (0.8026, 0.8391, 0.3087)
Mn (0.0000, 0.5000, 0.5000)
Mn (0.5000, 0.0000, 0.5000)
Ge (0.5000, 0.0000, 0.0000)
Ge (0.5000, 0.5000, 0.5000)

* * * * *

# 1
This entry pairs a crystal structure of AcHgGePd6 with its simulated powder XRD pattern. Radiation: Cu Kα (λ = 1.5418 Å). Structure: a DFT-relaxed cell (GGA-PBE, Alexandria).

Most intense lines, 2θ from 10° to 90°, in order of rising 2θ:
2θ/deg  d/Å  I_rel
26.75  3.333  46
29.16  3.062  100
32.55  2.751  68
35.21  2.549  69
36.50  2.462  56
37.79  2.381  99
39.79  2.265  39
45.64  1.988  73
45.83  1.980  37
68.16  1.376  39

Atomic structure:
```
AcHgGePd6
1.0
-3.3700 4.7612 5.7523
3.3700 -4.7612 5.7523
3.3700 4.7612 -5.7523
Ac Hg Ge Pd
2 2 2 12
Direct
0.4368 0.1868 0.2500
0.5632 0.8132 0.7500
0.0000 0.0000 0.5000
0.0000 0.5000 0.0000
0.0000 0.5000 0.5000
0.5000 0.5000 0.0000
0.1214 0.3383 0.2096
0.1214 0.9118 0.7831
0.1917 0.9417 0.2500
0.3077 0.5577 0.7500
0.3713 0.0882 0.7096
0.3713 0.6617 0.2831
0.6287 0.3383 0.7169
0.6287 0.9118 0.2904
0.6923 0.4423 0.2500
0.8083 0.0583 0.7500
0.8786 0.0882 0.2169
0.8786 0.6617 0.7904
```

# 2
This entry pairs a crystal structure of CaMg4Pt2 with its simulated powder XRD pattern. Radiation: Cu Kα (λ = 1.5418 Å). Structure: a DFT-relaxed cell (GGA-PBE, Alexandria).

Most intense lines, 2θ from 10° to 90°, in order of rising 2θ:
2θ/deg  d/Å  I_rel
21.96  4.047  70
25.30  3.520  100
31.26  2.862  40
40.41  2.232  19
40.63  2.220  87
46.46  1.954  20
51.96  1.760  19
52.14  1.754  15
62.05  1.496  17
73.64  1.286  15

Atomic structure:
```
CaMg4Pt2
1.0
8.0941 0.0000 0.0000
0.0000 8.0941 0.0000
0.0000 0.0000 4.4638
Ca Mg Pt
2 8 4
Direct
0.0000 0.0000 0.0000
0.5000 0.5000 0.5000
0.0874 0.3350 0.5000
0.1650 0.5874 0.0000
0.3350 0.0874 0.5000
0.4126 0.8350 0.0000
0.5874 0.1650 0.0000
0.6650 0.9126 0.5000
0.8350 0.4126 0.0000
0.9126 0.6650 0.5000
0.2328 0.7672 0.5000
0.2672 0.2672 0.0000
0.7328 0.7328 0.0000
0.7672 0.2328 0.5000
```

# 3
This entry pairs a crystal structure of LiMnSnS4 with its simulated powder XRD pattern. Radiation: Cu Kα (λ = 1.5418 Å). Structure: a DFT-relaxed cell (GGA-PBE, Alexandria).

Most intense lines, 2θ from 10° to 90°, in order of rising 2θ:
2θ/deg  d/Å  I_rel
14.54  6.093  58
15.15  5.850  100
28.29  3.155  59
28.53  3.129  24
34.24  2.618  43
34.95  2.567  87
37.45  2.401  22
48.62  1.873  15
49.74  1.833  58
51.86  1.763  17

Atomic structure:
```
LiMnSnS4
1.0
-3.5259 3.7455 5.2370
3.5259 -3.7455 5.2370
3.5259 3.7455 -5.2370
Li Mn Sn S
2 2 2 8
Direct
0.3807 0.1307 0.2500
0.6193 0.8693 0.7500
0.0000 0.0000 0.5000
0.0000 0.5000 0.0000
0.0000 0.5000 0.5000
0.5000 0.5000 0.0000
0.2115 0.7470 0.4645
0.2175 0.2530 0.9645
0.2222 0.2173 0.4951
0.2222 0.7270 0.0049
0.7778 0.2730 0.9951
0.7778 0.7827 0.5049
0.7825 0.7470 0.0355
0.7885 0.2530 0.5355
```

# 4
This entry pairs a crystal structure of Na3In3Bi with its simulated powder XRD pattern. Radiation: Cu Kα (λ = 1.5418 Å). Structure: a DFT-relaxed cell (GGA-PBE, Alexandria).

Most intense lines, 2θ from 10° to 90°, in order of rising 2θ:
2θ/deg  d/Å  I_rel
15.71  5.640  40
16.35  5.422  59
18.68  4.749  65
26.07  3.418  41
28.15  3.170  65
31.48  2.842  61
└──

What to do.
The reader should restate the lines earlier on from the one with "68.16" to the one with "0.2222 0.2173" character by character.

Worked solution.
68.16  1.376  39

Atomic structure:
```
AcHgGePd6
1.0
-3.3700 4.7612 5.7523
3.3700 -4.7612 5.7523
3.3700 4.7612 -5.7523
Ac Hg Ge Pd
2 2 2 12
Direct
0.4368 0.1868 0.2500
0.5632 0.8132 0.7500
0.0000 0.0000 0.5000
0.0000 0.5000 0.0000
0.0000 0.5000 0.5000
0.5000 0.5000 0.0000
0.1214 0.3383 0.2096
0.1214 0.9118 0.7831
0.1917 0.9417 0.2500
0.3077 0.5577 0.7500
0.3713 0.0882 0.7096
0.3713 0.6617 0.2831
0.6287 0.3383 0.7169
0.6287 0.9118 0.2904
0.6923 0.4423 0.2500
0.8083 0.0583 0.7500
0.8786 0.0882 0.2169
0.8786 0.6617 0.7904
```

# 2
This entry pairs a crystal structure of CaMg4Pt2 with its simulated powder XRD pattern. Radiation: Cu Kα (λ = 1.5418 Å). Structure: a DFT-relaxed cell (GGA-PBE, Alexandria).

Most intense lines, 2θ from 10° to 90°, in order of rising 2θ:
2θ/deg  d/Å  I_rel
21.96  4.047  70
25.30  3.520  100
31.26  2.862  40
40.41  2.232  19
40.63  2.220  87
46.46  1.954  20
51.96  1.760  19
52.14  1.754  15
62.05  1.496  17
73.64  1.286  15

Atomic structure:
```
CaMg4Pt2
1.0
8.0941 0.0000 0.0000
0.0000 8.0941 0.0000
0.0000 0.0000 4.4638
Ca Mg Pt
2 8 4
Direct
0.0000 0.0000 0.0000
0.5000 0.5000 0.5000
0.0874 0.3350 0.5000
0.1650 0.5874 0.0000
0.3350 0.0874 0.5000
0.4126 0.8350 0.0000
0.5874 0.1650 0.0000
0.6650 0.9126 0.5000
0.8350 0.4126 0.0000
0.9126 0.6650 0.5000
0.2328 0.7672 0.5000
0.2672 0.2672 0.0000
0.7328 0.7328 0.0000
0.7672 0.2328 0.5000
```

# 3
This entry pairs a crystal structure of LiMnSnS4 with its simulated powder XRD pattern. Radiation: Cu Kα (λ = 1.5418 Å). Structure: a DFT-relaxed cell (GGA-PBE, Alexandria).

Most intense lines, 2θ from 10° to 90°, in order of rising 2θ:
2θ/deg  d/Å  I_rel
14.54  6.093  58
15.15  5.850  100
28.29  3.155  59
28.53  3.129  24
34.24  2.618  43
34.95  2.567  87
37.45  2.401  22
48.62  1.873  15
49.74  1.833  58
51.86  1.763  17

Atomic structure:
```
LiMnSnS4
1.0
-3.5259 3.7455 5.2370
3.5259 -3.7455 5.2370
3.5259 3.7455 -5.2370
Li Mn Sn S
2 2 2 8
Direct
0.3807 0.1307 0.2500
0.6193 0.8693 0.7500
0.0000 0.0000 0.5000
0.0000 0.5000 0.0000
0.0000 0.5000 0.5000
0.5000 0.5000 0.0000
0.2115 0.7470 0.4645
0.2175 0.2530 0.9645
0.2222 0.2173 0.4951